40 years of Business Informatics at the Faculty of Economics, University of Ljubljana: All future companies will be technological companies!
## Attached: calculated molecules
'''
Entry 1:
59
Properties=species:S:1:pos:R:3:forces:R:3:nbo_charge:R:1 method="wB97M-V/def2-TZVPD" s2=3.794 e_homo_ev="-13.84 / -14.16" energy_ha=-2264.5414 total_charge=+2 lumo_ev="-7.82 / -8.20" multiplicity=4 orbital_gap_ev="6.024 / 5.965"
C -1.56408 3.07766 -3.92257 -0.5 -0.7 0.2 -0.1884
C -1.38262 1.78706 -3.40908 0.6 0.2 -0.2 -0.0436
C -0.06701 1.32671 -3.21322 -0.4 1.1 1.0 0.0939
C 1.01215 2.21940 -3.27729 -0.2 0.5 0.0 0.0101
C 0.78680 3.53046 -3.73956 0.4 -0.5 -0.1 -0.1742
C -0.49654 3.93812 -4.09606 0.6 0.0 -0.4 -0.1751
C 2.31924 1.71422 -2.70388 0.7 0.6 -1.8 -0.4667
C 2.51991 0.28819 -3.10621 0.4 -0.7 -0.9 0.0129
C 1.37454 -0.51954 -3.14629 1.3 -0.9 1.3 0.0628
C 1.49166 -1.91216 -3.35902 -0.3 0.2 0.2 0.0455
C 2.72173 -2.45440 -3.72796 -0.3 -0.5 -0.2 -0.2327
C 3.84654 -1.64194 -3.82085 -0.2 0.4 -0.1 -0.1660
C 3.74528 -0.28380 -3.49551 0.1 0.1 -0.5 -0.1797
H -2.56840 3.37868 -4.20904 0.1 0.1 0.2 0.2321
H 1.63662 4.20580 -3.89479 -0.4 -0.3 0.3 0.2407
H -0.63752 4.91282 -4.56535 0.0 -0.2 0.3 0.2474
H 3.16507 2.32948 -3.06486 -0.4 -0.2 0.2 0.2561
H 2.79012 -3.52704 -3.99013 -0.1 0.7 0.3 0.2379
H 4.78784 -2.06611 -4.18168 -0.3 0.3 0.2 0.2476
H 4.62907 0.33954 -3.68291 -0.4 -0.1 0.5 0.2413
N 0.19806 0.06227 -2.61047 -0.6 0.0 -0.3 -0.4770
Tc -0.37029 -0.38420 -0.77650 2.4 1.8 0.7 0.3552
C -2.52025 0.93858 -2.92859 0.2 -0.4 0.1 -0.6943
H -2.56286 -0.02856 -3.43100 -0.1 0.0 -0.1 0.2542
H -3.47313 1.45542 -3.04294 -0.1 -0.1 0.0 0.2653
C 0.30780 -2.78265 -2.98356 0.2 0.3 0.0 -0.7222
H -0.58793 -2.51896 -3.54937 0.0 -0.2 0.0 0.2573
H 0.54473 -3.84628 -3.09516 -0.1 0.1 -0.1 0.2621
P -2.26199 0.62781 -1.11299 -4.2 4.0 -1.1 1.1021
P -0.01907 -2.48835 -1.19170 2.1 -4.6 -1.8 1.0552
C 1.44891 -3.25900 -0.45762 0.0 -0.3 0.4 -0.9376
H 1.50309 -3.04040 0.61321 0.2 -0.2 -0.2 0.2467
H 1.36442 -4.34221 -0.61024 0.2 0.1 0.1 0.2625
H 2.36327 -2.88061 -0.93378 -0.3 0.0 0.0 0.2874
C -1.43975 -3.51717 -0.82591 -0.5 -0.2 0.5 -0.9581
H -1.19884 -4.54498 -1.12935 -0.2 0.2 0.0 0.2799
H -1.65602 -3.49253 0.25245 -0.1 -0.2 -0.4 0.2596
H -2.32348 -3.15069 -1.37011 0.3 -0.3 0.1 0.2585
C -2.57257 2.31377 -0.45449 0.1 0.1 0.2 -0.9356
H -3.43043 2.75738 -0.98632 0.3 -0.2 0.3 0.2660
H -2.78270 2.25516 0.62518 0.0 0.1 -0.4 0.2525
H -1.68050 2.93808 -0.61914 -0.3 -0.2 0.0 0.2700
C -3.70632 -0.31302 -0.55281 0.1 -0.5 0.2 -0.9494
H -3.77543 -0.24494 0.54405 0.0 -0.1 -0.3 0.2635
H -4.61553 0.11472 -1.00118 0.3 -0.2 0.1 0.2817
H -3.59979 -1.36816 -0.84743 -0.3 0.3 0.1 0.2476
H 2.34119 1.80820 -1.63372 -0.2 0.0 0.8 0.2413
H 0.78567 0.53173 -0.25651 0.3 0.6 0.2 0.1484
Cl -3.11804 1.55824 3.63736 0.2 0.1 0.2 0.1081
C -2.12731 0.28070 3.07965 0.5 -0.4 0.1 -0.0707
C -2.21645 -1.00616 3.63717 0.2 0.0 -0.3 -0.1375
C -1.44413 -2.03081 3.07561 0.0 0.0 0.3 -0.2124
C -0.70068 -1.76021 1.93154 -0.9 -0.5 0.9 0.0430
N -0.73619 -0.56316 1.36845 1.2 0.9 -0.4 -0.4863
C -1.24432 0.50020 2.02311 -1.0 -0.6 0.1 0.0262
H -2.85766 -1.16187 4.50793 0.2 -0.1 -0.3 0.2707
'''
## Back to the entry
The highlight of the event was a discussion of the key challenges in informatics in terms of aligning the digitalisation of companies with business processes and people. The discussion included the former students Tomaž Štolfa (co-founder of Layer), Tjaž Jelovčan (Microsoft), Ana Petrovska (Lek), Miha Valentinčič (Petrol), Venčeslav Perko (ELES) and Teja Batagelj (GEN-I) as well as two former professors who played an important role in establishing and developing Business Informatics, Prof. Dr Janez Grad and Prof. Dr Andrej Kovačič.
**Attached: molecular data:**
+++
No. 1
Entry from the Open Molecules 2025 dataset: a structure of composition C5H6OS at a distorted geometry (ωB97M-V/def2-TZVPD).

For the HOMO energy, the calculation gives -9.093 eV. The calculation puts the molecular weight at 114.17 Da. The value obtained for the total energy is -667.38793 Eh. The net charge is 0. The value obtained for the gap between HOMO and LUMO is 10.038 eV.

Each line ends with the natural charge from an NBO analysis.
Cartesian coordinates (Å):
C -0.44 0.38 0.29  -0.3356
C 0.02 -1.07 0.05  -0.0222
C 1.14 0.48 -0.09  0.0504
C 1.50 -0.11 1.38  -0.2343
C 0.78 -1.21 1.28  -0.2188
H -0.99 0.54 -1.82  0.1232
H -0.72 0.73 1.37  0.2368
H -0.44 -2.01 -0.32  0.2220
H 1.70 1.50 -0.27  0.2256
H 2.04 0.40 2.29  0.2422
H 0.39 -2.05 2.05  0.2259
O 1.01 -0.65 -0.90  -0.4970
S -1.75 0.95 -0.84  -0.0183



No. 2
Entry from the Open Molecules 2025 dataset: an isolated molecule of C5H6OS2 at a distorted geometry (ωB97M-V/def2-TZVPD).

For the HOMO energy (spin up / spin down), the calculation gives -7.643 / -7.644 eV. The calculation puts the molecular weight at 146.24 Da. The value obtained for the total energy is -1065.52004 Eh. The net charge is 0. The value obtained for the gap between HOMO and LUMO (spin up / spin down) is 7.146 / 7.147 eV.

Each line ends with the natural charge from an NBO analysis.
Cartesian coordinates (Å):
C -1.00 0.88 1.74  0.0150
C -0.32 1.28 0.65  0.0011
C -0.64 0.92 -1.66  -0.5602
C 0.44 -2.35 1.27  -0.7936
C 0.20 1.50 -0.53  -0.2130
O -0.91 -0.42 2.20  -0.6944
S -1.52 -0.58 -1.05  -0.2932
S -1.01 -1.64 1.27  1.1467
H -1.67 1.53 2.34  0.2209
H -1.43 1.64 -1.77  0.2274
H -0.08 0.78 -2.63  0.2319
H 0.37 -3.43 1.12  0.2396
H 1.34 -1.95 1.60  0.2319
H 1.15 2.09 -0.73  0.2399



Let's list relative energy (zero: lowest compared OMol25 entry of this formula, charge and spin) in order: 94.3; 131.0 kcal per mole.


a) Density functional theory data (wB97M-V/def2-TZVPD) for the molecule C23H34N2O5.

Element x y z (Å)
C: -7.1232 1.4348 0.0766
O: -7.6162 0.1221 -0.0098
C: -6.6817 -0.8793 0.3145
C: -5.6430 -1.1248 -0.7876
C: -4.7946 -2.3388 -0.4462
O: -4.9301 -2.9496 0.5968
N: -3.8921 -2.7288 -1.3807
C: -3.5055 -1.9939 -2.5604
H: -3.3430 -2.7210 -3.3618
C: -2.2108 -1.2103 -2.2901
H: -2.4423 -0.2292 -1.8736
H: -1.6704 -1.0562 -3.2255
C: -1.3034 -1.9973 -1.3229
C: -1.5579 -3.4967 -1.4856
C: -2.9926 -3.8276 -1.0666
H: -3.3346 -4.7373 -1.5731
H: -3.0607 -3.9919 0.0115
H: -0.8521 -4.0520 -0.8687
H: -1.3727 -3.7676 -2.5256
O: 0.0662 -1.7802 -1.6066
C: 0.6711 -0.6164 -1.2437
C: 1.9991 -0.4856 -1.6550
C: 2.7248 0.6415 -1.3351
C: 2.1495 1.6597 -0.5821
C: 0.8276 1.5348 -0.1823
C: 0.0882 0.4110 -0.5100
H: -0.9364 0.3510 -0.1788
H: 0.3659 2.3259 0.3902
C: 2.9520 2.8877 -0.2709
O: 3.1775 3.7359 -1.1146
N: 3.3902 2.9903 1.0068
C: 3.3299 1.9255 1.9773
H: 2.5721 1.1951 1.6961
C: 4.7009 1.2479 2.0928
C: 4.6375 0.0848 3.0915
O: 3.6144 -0.8453 2.8279
C: 3.8196 -1.6468 1.6893
H: 4.8103 -2.1162 1.7110
H: 3.7109 -1.0799 0.7580
+++
In the public discussion hosted by Prof. Dr Aleš Groznik, Tomaž Štolfa, the co-founder of Layer, illustrated with an example of the technological giant Amazon how this company, which once mainly sold books, has built its success on technological development. However, despite the great technological progress made in the past 40 years since the study programme was introduced, the discussion also considered the fact that today's technological solutions stem from visionary ideas that emerged decades ago, except that nowadays they are propelled by stronger computers. In a world of technology, one is always standing on the shoulders of giants who should be respected and their work upgraded. During the discussion, Prof. Dr Aleš Groznik emphasised that technology has been advancing in waves. Great progress occurs at a specific moment and then - until the 'next big thing' comes around - gradual development takes place. Such an example is nanorobots.
Photo: STA
Over the past 40 years, the FELU Business Informatics study programme has taken tremendous steps forward, especially given that back in 1978 this was still an extremely narrow field of information technology. Today, it enjoys the reputation of a leading interdisciplinary study that combines information technology with business sciences, especially management. Prof. Dr Mojca Indihar Štemberger, Chair of the Department of Business Informatics and Logistics, stressed that every year the FELU upgrades and redesigns this programme in line with the latest trends.
So far, the programme has produced over 2,200 graduates, although the Department also has a strong research component, especially in the area of business process management where, according to Indihar Štemberger, the University of Ljubljana ranks third in the world in terms of research achievements thanks to this programme. Up to 120 students enrol every year, 30-40 of whom come from abroad, mainly Europe and some also from Asia, America and Africa. The Department offers two double-degree programmes; since 2011, it has been cooperating with the NOVA University from Lisbon and, since 2018, also with the Pforzheim Business School. The FELU's research excellence in this field is exceptional: 3rd place in the world in business process management research (it comes behind the Queensland University of Technology and the University of Liechtenstein) and 3rd place in the world in research into Big Data integration with business processes (behind the University of Nebraska and Kansas State University).
Between two parts of the piece: calculated molecules
┌──
Computed, not measured: a cluster of 10 separate species, C5H30NO9 in total at a distorted geometry, with ωB97M-V with the def2-TZVPD basis set.

The value obtained for the frontier orbital gap is 9.453 eV. Its LUMO energy is -2.690 eV.

```
! RIJCOSX wB97M-V def2-TZVPD def2/J DEFGRID3
* xyz 1 1
C -0.123 0.486 -0.155
C -0.034 -0.985 0.032
C 1.053 -1.660 0.813
C 2.036 -2.152 0.064
C 3.300 -2.704 0.655
N -0.253 1.389 1.064
H -1.070 0.659 -0.681
H 0.477 1.007 -0.970
H -0.032 -1.518 -0.933
H -1.048 -1.142 0.489
H 0.937 -1.551 1.884
H 1.987 -2.107 -1.025
H 3.402 -3.722 0.252
H 3.458 -2.677 1.733
H 4.062 -2.036 0.256
H -1.235 1.415 1.296
H 0.101 2.329 0.934
H 0.291 0.960 1.815
H -1.298 -2.474 -3.091
H -1.646 -2.637 -1.547
O -1.107 -2.946 -2.279
H -3.032 3.520 -0.939
H -3.528 3.975 0.369
O -2.853 3.376 0.000
H 1.947 3.151 2.280
H 0.960 3.260 3.394
O 0.977 3.067 2.443
H -0.776 -4.993 -0.068
H -0.062 -4.488 1.199
O -0.835 -4.346 0.647
H -0.137 4.777 -0.179
H 0.879 4.815 0.961
O 0.758 4.510 0.057
H 0.982 -0.230 -4.270
H 2.337 0.400 -3.818
O 1.392 0.558 -3.896
H 0.297 0.195 4.271
H -0.816 -0.374 3.513
O -0.386 0.496 3.655
H 0.058 1.718 -4.404
H -1.051 2.859 -4.194
O -0.757 2.123 -4.728
H -3.875 -2.010 1.283
H -2.691 -2.598 0.978
O -3.051 -1.696 0.838
*
```

Computed, not measured: a cluster of 11 separate species, C5H31N2O11 in total at a distorted geometry, with ωB97M-V with the def2-TZVPD basis set.

The value obtained for the frontier orbital gap is 8.146 eV. Its LUMO energy is 2.659 eV.

```
! RIJCOSX wB97M-V def2-TZVPD def2/J DEFGRID3
* xyz -1 1
C 0.065 1.142 1.493
O -1.314 0.767 1.756
C 0.226 1.987 0.233
C 0.422 1.150 -0.999
C -0.734 0.167 -1.369
C -1.919 0.453 -2.003
N -2.923 -0.507 -2.033
N -0.512 -1.257 -0.963
H 0.769 0.233 1.589
H 0.381 1.714 2.390
H 0.957 2.806 0.331
H -0.822 2.501 0.225
H 1.270 0.395 -0.913
H 0.592 1.743 -1.987
H -2.163 1.462 -2.350
H -2.453 -1.472 -1.956
H -3.349 -0.390 -2.931
H -0.767 -1.430 0.005
H 0.474 -1.478 -0.942
H 3.776 1.427 -0.440
H 3.966 1.100 -1.915
O 4.062 0.762 -0.997
H 2.937 -1.668 -0.629
H 3.886 -1.105 -1.473
O 3.188 -1.747 -1.574
H 2.358 1.057 -3.578
H 2.263 2.015 -2.427
O 2.804 1.737 -3.170
H -2.057 -1.027 2.896
H -1.701 0.373 1.002
O -2.922 -0.744 3.351
H -2.186 -1.511 1.379
H -3.070 -1.334 0.077
O -3.020 -1.060 0.971
H -2.179 3.075 0.645
H -2.543 2.240 1.831
O -2.736 3.136 1.489
H -0.837 -2.686 1.910
H -3.181 0.064 3.032
O -0.878 -1.853 1.883
H -0.004 -1.043 3.018
H 0.497 -1.551 4.432
O 0.484 -0.851 3.829
H 0.902 -1.116 -3.114
H 2.210 -1.363 -3.125
O 1.637 -0.713 -3.565
H 0.656 -2.082 1.307
H 1.803 -1.480 2.120
O 1.684 -2.035 1.259
*
```

Computed, not measured: a cluster of 10 separate species, C5H31N2O9 in total at a distorted geometry, with ωB97M-V with the def2-TZVPD basis set.

The value obtained for the frontier orbital gap (alpha / beta) is 9.065 / 5.438 eV. Its LUMO energy (alpha / beta) is -6.458 / -10.084 eV. The expectation value of S² is 0.77.

```
! RIJCOSX wB97M-V def2-TZVPD def2/J DEFGRID3
└──
Photo: STA
More information:
Prof. Dr Mojca Indihar Štemberger, Chair of the Department of Business Informatics and Logistics and Chair of the Business Informatics graduate programme
Faculty of Economics, University of Ljubljana,
mojca.stemberger@ef.uni-lj.si; tel.: 040 202 258